[HTML][HTML] Mechanical properties of ignimbrites of Tenerife Island employed as building stone and their correlation with some physical properties

JA Valido, JM Cáceres, L Sousa - Journal of Building Engineering, 2024 - Elsevier
The aim of this research work was to determine and analyse the mechanical properties of a
group of four varieties of ignimbrites, which are differentiated according to their colour …

Conservation of building materials of historic monuments using a hybrid formulation

____________
Entry 1:
{"formula": "C12H13PSi", "method": "ωB97M-V/def2-TZVPD", "lumo_energy_ev": -0.753, "e_above_lowest_kcal_mol": 47.5, "gap_ev": 6.93, "total_charge": 0, "energy_ha": -1095.776014, "spin_multiplicity": 1, "symbols": ["C", "C", "C", "C", "C", "C", "C", "C", "C", "C", "C", "C", "Si", "P", "H", "H", "H", "H", "H", "H", "H", "H", "H", "H", "H", "H", "H"], "positions_angstrom": [[-4.9760, -0.6098, 0.1618], [5.0784, -0.1714, -0.4525], [-4.2127, -0.1810, 1.2413], [-4.3041, -1.2183, -0.8822], [4.7087, -1.5434, -0.3978], [4.1236, 0.7919, -0.1547], [-2.7973, -0.2769, 1.1941], [-2.9814, -1.1830, -1.0051], [3.5501, -1.8855, 0.2684], [2.9434, 0.4300, 0.3823], [-2.2331, -0.7819, 0.0413], [2.6655, -0.8768, 0.7010], [-0.3536, -0.8279, -0.1420], [1.0495, -1.5404, 1.3459], [-6.0729, -0.7290, 0.3347], [5.9968, 0.1059, -0.9984], [-4.6356, 0.5247, 2.0726], [-5.0048, -1.7615, -1.5858], [5.4556, -2.3647, -0.5034], [4.3158, 1.8714, -0.1859], [-2.1398, -0.1625, 2.0449], [-2.4205, -1.5800, -1.9098], [3.2005, -2.9453, 0.3937], [2.2621, 1.2455, 0.6866], [0.4120, 2.9226, -0.0607], [-0.1262, -0.8905, -1.5663], [0.0560, 2.2210, -0.0828]], "atomic_forces_ev_per_a": [[-0.3442, -0.7504, 1.9478], [-0.0723, -0.8187, -1.8708], [0.6136, 2.8171, 1.5780], [-4.6904, -1.0545, -1.5864], [1.5762, 0.0577, 1.6531], [2.0573, 0.8608, -0.1431], [-1.4151, -0.7433, 0.0766], [2.1784, -1.4258, -2.9066], [-1.0937, -0.3906, 0.0650], [-2.0331, 0.8760, 1.6543], [2.8889, 0.7911, 1.4954], [-1.1044, -1.8583, -1.2371], [0.3971, -1.0279, 1.5238], [-0.9500, 1.2587, -0.3849], [0.9903, 0.4743, -0.6820], [-0.3604, -0.1192, 0.7291], [0.4340, -1.9903, -1.3430], [1.2917, 0.7791, 0.3409], [-0.5764, 0.9065, -0.6560], [0.2590, -0.5180, -0.4474], [-0.2788, 0.6726, 0.2002], [-1.1107, 0.4251, 1.0176], [0.7662, 1.0451, -0.0835], [0.1903, -0.7064, -0.2178], [-0.6605, -1.2353, -0.0597], [0.4157, 0.3894, -0.7179], [0.6312, 1.2852, 0.0545]]}



Entry 2:
____________

C Salazar-Hernández, J Cervantes… - Journal of cultural …, 2015 - Elsevier
Green volcanic tuff has been used in the construction of very important historic buildings in
the city of Guanajuato, Mexico, a UNESCO World Cultural Heritage city since 1988. The …

[PDF][PDF] Eye tracking in urban visual environment

AA Krupina, VV Bespalov, EY Kovaleva… - Stroitel'stvo Unikal' …, 2017 - unistroy.spbstu.ru
Visual environment pollution increasing along with urbanism. For the first time VA Filin
provides an explanation of the link between this problem and visual deterioration, mental …

[HTML][HTML] An Approach to the Use of Glycol Alkoxysilane–Polysaccharide Hybrids in the Conservation of Historical Building Stones

M Meléndez-Zamudio, I Bravo-Flores, E Ramírez-Oliva… - Molecules, 2021 - mdpi.com
Stone consolidants have been widely used to protect historical monuments. Consolidants
and hydrophobic formulations based on the use of tetraethoxysilane (TEOS) and …

Study of the distribution of heavy metals in the atmosphere of the Guanajuato city: use of saxicolous lichen species as bioindicators

MJ Puy-Alquiza, R Miranda-Aviles, GA Zanor… - Ingeniería …, 2017 - scielo.org.mx
The atmospheric deposition of some heavy metals was investigated using saxicolous lichen
species (Xanthoparmelia mexicana (Gyeln.) Hale, Xanthoparmelia tasmanica (Hook. f. & …

[HTML][HTML] Berriasian-early Valanginian calcareous shallow-water facies from the Arperos Basin: A proposal from the foraminiferal assemblage of the clasts of the …

L Omaña, R Miranda-Avilés… - Boletín de la Sociedad …, 2015 - scielo.org.mx
Abstract The Eocene Guanajuato Conglomerate is composed of clasts derived from igneous
and metasedimentary sources that can be related to the Upper Jurassic–Lower Cretaceous …

[HTML][HTML] Geochemistry and depositional environment of the Losero Formation in the Mesa Central, México

MJ Puy-Alquiza, R Miranda-Aviles… - Boletín de la Sociedad …, 2014 - scielo.org.mx
The Losero Formation is exposed in the Guanajuato Mining District, conformably overlying
the Guanajuato conglomerate. Most of the up-to-date studies of the Losero Formation have …

The role of lichen communities in superficial deterioration of their rock substrates: studies of the lichen-rock interface of two historical buildings in the city of Guanajuato …

MJ Puy-Alquiza, M Gómez Peralta… - Acta …, 2015 - scielo.org.mx
PUY-ALQUIZA, María Jesús et al. The role of lichen communities in superficial deterioration
of their rock substrates: studies of the lichen-rock interface of two historical buildings in the …

Eye tracking в городской визуальной среде

АА Крупина, ВВ Беспалов, ЕЮ Ковалева… - … уникальных зданий и …, 2017 - elibrary.ru
Экология городской среды на сегодняшний день является областью внимания не
только ученых, но и всего общества в целом. Однако, рассматриваются в основном …

[HTML][HTML] El rol de las comunidades de líquenes en el deterioro superficial de su substrato rocoso: estudio de la interfase liquen-roca en dos monumentos históricos de …

MJ Puy-Alquiza, M Gómez Peralta… - Acta …, 2015 - scielo.org.mx
En este trabajo se analizan los procesos de deterioro que ejercen las comunidades de
líquenes en las areniscas silíceas de dos monumentos del siglo XIX y XX de la ciudad de …